
i read this and all i can think about when i read the suggestion to leave it there is moldy, stinky carpet.

Unrelated to this text: calculated crystals.
-- begin --
The following is a GGA-PBE calculation of an optimized crystal structure of La6AlTe5, from Alexandria via LeMat-Bulk.

Values from the calculation:
**Crystal system**: monoclinic
**ΔE_f (raw)**: -1.384 eV/atom

Cell: 7.9327 7.9327 7.9349 Å, 99.59 99.59 119.86°
Closest atoms and distances in Å follow each position.
Element x y z (fractional)
Te: 0.8289 0.1711 0.5000  6 La 3.24-3.31
Te: 0.6659 0.3341 0.0000  6 La 3.25
Te: 0.5000 0.5000 0.5000  6 La 3.24-3.35
Te: 0.3341 0.6659 0.0000  6 La 3.25
Te: 0.1711 0.8289 0.5000  6 La 3.24-3.31
Al: 0.0000 0.0000 0.0000  6 La 3.13-3.14
La: 0.4024 0.0805 0.2420  1 Al 3.13, 5 Te 3.24-3.31
La: 0.9195 0.5976 0.7580  1 Al 3.13, 5 Te 3.24-3.31
La: 0.2399 0.2399 0.7559  1 Al 3.14, 5 Te 3.25-3.35
La: 0.7601 0.7601 0.2441  1 Al 3.14, 5 Te 3.25-3.35
La: 0.0805 0.4024 0.2420  1 Al 3.13, 5 Te 3.24-3.31
La: 0.5976 0.9195 0.7580  1 Al 3.13, 5 Te 3.24-3.31

* * * * *

[1]
First-principles (PBE) data for a relaxed structure of Sr3Y, as listed in the Alexandria database. Values from VASP.

Output
DFT formation energy, eV per atom: 0.15
Magnetic moment, Bohr magnetons per cell: 1.3
Energy above the lowest structure with this stoichiometry, meV per atom: 13
DFT total energy, eV/f.u.: -10.91

```
&SYSTEM
  ibrav = 0, nat = 4, ntyp = 2
/
ATOMIC_SPECIES
Sr 87.62 Sr.upf
Y 88.91 Y.upf
CELL_PARAMETERS angstrom
2.012 1.162 13.375
-2.012 1.162 13.375
0.000 -2.323 13.375
ATOMIC_POSITIONS angstrom
Sr 0.000 0.000 0.000
Sr 0.000 0.000 9.766
Sr 0.000 0.000 30.357
Y 0.000 0.000 20.062
```


[2]
First-principles (PBE) data for a relaxed structure of Sr5Y, as listed in the Alexandria database. Values from VASP.

Output
DFT formation energy, eV per atom: 0.14
Magnetic moment, Bohr magnetons per cell: 1.3
Energy above the lowest structure with this stoichiometry, meV per atom: 22
DFT total energy, eV/f.u.: -14.04

```
&SYSTEM
  ibrav = 0, nat = 6, ntyp = 2
/
ATOMIC_SPECIES
Sr 87.62 Sr.upf
Y 88.91 Y.upf
CELL_PARAMETERS angstrom
7.117 0.000 0.000
-3.558 6.163 0.000
0.000 0.000 6.717
ATOMIC_POSITIONS angstrom
Sr -2.415 4.182 0.000
Sr 1.144 1.981 0.000
Sr 0.000 4.109 3.359
Sr 3.558 2.054 3.359
Sr 4.829 0.000 0.000
Y 0.000 0.000 3.359
```


[3]
First-principles (PBE) data for a relaxed structure of SrY3, as listed in the Alexandria database. Values from VASP.

Output
DFT formation energy, eV per atom: 0.35
Magnetic moment, Bohr magnetons per cell: 5.2
DFT total energy, eV/f.u.: -19.66

```
&SYSTEM
  ibrav = 0, nat = 8, ntyp = 2
/
ATOMIC_SPECIES
Sr 87.62 Sr.upf
Y 88.91 Y.upf
CELL_PARAMETERS angstrom
6.666 0.000 0.000
0.000 6.666 0.000
0.000 0.000 6.666
ATOMIC_POSITIONS angstrom
Sr 0.000 0.000 0.000
Sr 3.333 3.333 3.333
Y 0.000 1.666 3.333
Y 0.000 4.999 3.333
Y 1.666 3.333 0.000
Y 3.333 0.000 1.666
Y 3.333 0.000 4.999
Y 4.999 3.333 0.000
```


[4]
First-principles (PBE) data for a relaxed structure of SrY2, as listed in the Alexandria database. Values from VASP.

Output
DFT formation energy, eV per atom: 0.19
-- stop --

i see no problem here. i've been lobbying all my knitting friends to make me one of those yoda-eared winter hats for years. if anyone comes through, OF COURSE i'd wear it. this is far, far less geeky.

your manly friend has no clue. the crucial, often unnamed ingredient in any cold cocktail is the water, and that comes from the ice. sometimes ice opens up the flavor, not "subvert" it.

for apple? pretty damn great so far.

man i love this album. this and Thursday Afternoon are just pure bliss to me.

why is the world would "conforming to standards set my Microsoft Office" be a GOOD thing?? MS Office is HORRENDOUS.

Goodreader, anyone?

wait — actually, i thought there was actual proof that at one point twitter was censoring #OWS or #OccupyWallStreet tags for awhile there. no?

one could also argue that you kids SHOULD GET THE HELL OFF MY LAWN.

thrifted old-school hard-side suitcases FTW.

so... much.... DANGER.... O_o

this is what i want, too: i post to twitter from a desktop client, and i want it to cross-post to G+. so far, i can't find a way to do that. i'm hoping that one will be mentioned here.

you are correct — i don't! but thank you for giving me a plausible reason why they aren't in the show. i'm still not happy about their omission, but at least i can understand now why they might have been excised.

AHA! trick question, since none of them are overrated! i'm on to you....

i love the dothraki as depicted in the show, but the one thing i really miss is the omission of the bells. in the books, they are VERY prominent in their culture, being symbolic of status. the khals and khaleesi wear bells in their braids, so they jingled when they rode. i can't imagine why they didn't put this in the

technically, he only cut off the lower part of his ear, not the whole thing.

i'm not talking about internet trolls and windows users who don't know any better — they are the ones who keep trotting out the archaic stereotype you mention, and they are the only ones who think it has any basis in reality because it makes them feel superior. i'm speaking as someone who has used their products since

you're right - that DOES settle it. who'd want to use the same phone the pope is using?

i'll second this. nowhere did apple (1) "promise" you anything, and (2) nowhere did they say they are hiring to "fix" siri. putting it another way, maybe — just MAYBE — apple knew the potential of the technology and had planned to expand work on it after the initial rollout....

definitely a good point - but since twitter was filtering #OWS and #OccupyWallStreet posts, maybe that's what affected that.